[Request]
Next, duplicate the whole of the block below without altering anything.
[File]
- - -
Material: MgCu2H4Se2O10
Method: DFT, PBE-GGA
State: optimized geometry

Density: 3.5 g/cm³
E: -96.29 eV per cell
Energy of formation: -1.227 eV per atom
V: 11.795 Å³/atom

Unit cell a=5.351 b=5.910 c=7.689 alpha=101.93 beta=102.71 gamma=101.69
Space group P1 (No. 1)
Asymmetric unit:
Mg  0.000  0.000  0.000 [1 per cell]
Cu  0.484  0.531  0.073 [1 per cell]
Cu  0.897  0.039  0.581 [1 per cell]
H  0.037  0.570  0.793 [1 per cell]
H  0.834  0.510  0.362 [1 per cell]
H  0.907  0.381  0.886 [1 per cell]
H  0.987  0.701  0.275 [1 per cell]
Se  0.375  0.163  0.351 [1 per cell]
Se  0.472  0.879  0.803 [1 per cell]
O  0.075  0.446  0.856 [1 per cell]
O  0.105  0.926  0.761 [1 per cell]
O  0.226  0.884  0.208 [1 per cell]
O  0.247  0.227  0.527 [1 per cell]
O  0.274  0.317  0.191 [1 per cell]
O  0.565  0.854  0.602 [1 per cell]
O  0.671  0.716  0.938 [1 per cell]
O  0.682  0.154  0.939 [1 per cell]
O  0.708  0.219  0.411 [1 per cell]
O  0.820  0.646  0.307 [1 per cell]

***

Material: MgTl2Cu2H2Se2O10
Method: DFT, PBE-GGA
State: optimized geometry

Density: 4.3 g/cm³
E: -94.83 eV per cell
Excess energy over the best structure of this formula in the dataset: 0.0 meV/atom
Energy of formation: -1.259 eV per atom
V: 17.883 Å³/atom

Unit cell a=5.639 b=6.010 c=10.388 alpha=90.00 beta=105.20 gamma=90.00
Space group Pm (No. 6)
Asymmetric unit:
Mg  0.000  0.000  0.000 [1 per cell]
Tl  0.159  0.000  0.610 [1 per cell]
Tl  0.605  0.500  0.892 [1 per cell]
Cu  0.166  0.239  0.284 [2 per cell]
H  0.523  0.000  0.418 [1 per cell]
H  0.832  0.500  0.231 [1 per cell]
Se  0.483  0.000  0.032 [1 per cell]
Se  0.663  0.500  0.492 [1 per cell]
O  0.271  0.213  0.978 [2 per cell]
O  0.342  0.000  0.400 [1 per cell]
O  0.377  0.500  0.368 [1 per cell]
O  0.599  0.500  0.640 [1 per cell]
O  0.647  0.000  0.910 [1 per cell]
O  0.811  0.270  0.466 [2 per cell]
O  0.982  0.500  0.200 [1 per cell]
O  0.987  0.000  0.185 [1 per cell]

***

Material: MgTl2Cu2H2Se2O10
Method: DFT, PBE-GGA
State: optimized geometry

Density: 4.4 g/cm³
E: -93.75 eV per cell
Excess energy over the best structure of this formula in the dataset: 56.9 meV/atom
Energy of formation: -1.202 eV per atom
V: 17.546 Å³/atom

Unit cell a=5.604 b=5.781 c=10.385 alpha=90.00 beta=97.69 gamma=90.00
Space group Pm (No. 6)
Asymmetric unit:
Mg  0.000  0.000  0.000 [1 per cell]
Tl  0.511  0.000  0.139 [1 per cell]
Tl  0.562  0.500  0.813 [1 per cell]
Cu  0.622  0.272  0.470 [2 per cell]
H  0.306  0.000  0.381 [1 per cell]
H  0.942  0.500  0.609 [1 per cell]
Se  0.051  0.500  0.156 [1 per cell]
Se  0.068  0.000  0.677 [1 per cell]
O  0.227  0.240  0.670 [2 per cell]
O  0.261  0.500  0.055 [1 per cell]
O  0.450  0.500  0.372 [1 per cell]
O  0.481  0.000  0.380 [1 per cell]
O  0.765  0.500  0.597 [1 per cell]
O  0.830  0.000  0.551 [1 per cell]
O  0.876  0.256  0.095 [2 per cell]
O  0.933  0.000  0.815 [1 per cell]

***

Material: Na4CuP6H22N6O22
Method: DFT, PBE-GGA
State: optimized geometry

Density: 2.0 g/cm³
E: -348.19 eV per cell
Energy of formation: -1.441 eV per atom
V: 11.034 Å³/atom

Unit cell a=9.218 b=9.400 c=9.764 alpha=67.48 beta=71.74 gamma=60.70
Space group P-1 (No. 2)
Asymmetric unit:
Na  0.055  0.393  0.387 [2 per cell]
Na  0.337  0.704  0.901 [2 per cell]
Cu  0.000  0.000  0.000 [1 per cell]
P  0.075  0.086  0.238 [2 per cell]
P  0.185  0.730  0.286 [2 per cell]
P  0.440  0.847  0.259 [2 per cell]
H  0.032  0.883  0.463 [2 per cell]
H  0.233  0.058  0.709 [2 per cell]
H  0.239  0.680  0.674 [2 per cell]
H  0.276  0.418  0.083 [2 per cell]
H  0.299  0.069  0.833 [2 per cell]
H  0.320  0.080  0.068 [2 per cell]
H  0.350  0.065  0.441 [2 per cell]
H  0.382  0.177  0.504 [2 per cell]
H  0.390  0.725  0.575 [2 per cell]
H  0.399  0.327  0.963 [2 per cell]
H  0.472  0.568  0.317 [2 per cell]
N  0.063  0.904  0.347 [2 per cell]
N  0.283  0.026  0.179 [2 per cell]
N  0.381  0.692  0.292 [2 per cell]
O  0.003  0.788  0.670 [2 per cell]
O  0.007  0.515  0.053 [2 per cell]
- - -
[Reply]
Material: MgCu2H4Se2O10
Method: DFT, PBE-GGA
State: optimized geometry

Density: 3.5 g/cm³
E: -96.29 eV per cell
Energy of formation: -1.227 eV per atom
V: 11.795 Å³/atom

Unit cell a=5.351 b=5.910 c=7.689 alpha=101.93 beta=102.71 gamma=101.69
Space group P1 (No. 1)
Asymmetric unit:
Mg  0.000  0.000  0.000 [1 per cell]
Cu  0.484  0.531  0.073 [1 per cell]
Cu  0.897  0.039  0.581 [1 per cell]
H  0.037  0.570  0.793 [1 per cell]
H  0.834  0.510  0.362 [1 per cell]
H  0.907  0.381  0.886 [1 per cell]
H  0.987  0.701  0.275 [1 per cell]
Se  0.375  0.163  0.351 [1 per cell]
Se  0.472  0.879  0.803 [1 per cell]
O  0.075  0.446  0.856 [1 per cell]
O  0.105  0.926  0.761 [1 per cell]
O  0.226  0.884  0.208 [1 per cell]
O  0.247  0.227  0.527 [1 per cell]
O  0.274  0.317  0.191 [1 per cell]
O  0.565  0.854  0.602 [1 per cell]
O  0.671  0.716  0.938 [1 per cell]
O  0.682  0.154  0.939 [1 per cell]
O  0.708  0.219  0.411 [1 per cell]
O  0.820  0.646  0.307 [1 per cell]

***

Material: MgTl2Cu2H2Se2O10
Method: DFT, PBE-GGA
State: optimized geometry

Density: 4.3 g/cm³
E: -94.83 eV per cell
Excess energy over the best structure of this formula in the dataset: 0.0 meV/atom
Energy of formation: -1.259 eV per atom
V: 17.883 Å³/atom

Unit cell a=5.639 b=6.010 c=10.388 alpha=90.00 beta=105.20 gamma=90.00
Space group Pm (No. 6)
Asymmetric unit:
Mg  0.000  0.000  0.000 [1 per cell]
Tl  0.159  0.000  0.610 [1 per cell]
Tl  0.605  0.500  0.892 [1 per cell]
Cu  0.166  0.239  0.284 [2 per cell]
H  0.523  0.000  0.418 [1 per cell]
H  0.832  0.500  0.231 [1 per cell]
Se  0.483  0.000  0.032 [1 per cell]
Se  0.663  0.500  0.492 [1 per cell]
O  0.271  0.213  0.978 [2 per cell]
O  0.342  0.000  0.400 [1 per cell]
O  0.377  0.500  0.368 [1 per cell]
O  0.599  0.500  0.640 [1 per cell]
O  0.647  0.000  0.910 [1 per cell]
O  0.811  0.270  0.466 [2 per cell]
O  0.982  0.500  0.200 [1 per cell]
O  0.987  0.000  0.185 [1 per cell]

***

Material: MgTl2Cu2H2Se2O10
Method: DFT, PBE-GGA
State: optimized geometry

Density: 4.4 g/cm³
E: -93.75 eV per cell
Excess energy over the best structure of this formula in the dataset: 56.9 meV/atom
Energy of formation: -1.202 eV per atom
V: 17.546 Å³/atom

Unit cell a=5.604 b=5.781 c=10.385 alpha=90.00 beta=97.69 gamma=90.00
Space group Pm (No. 6)
Asymmetric unit:
Mg  0.000  0.000  0.000 [1 per cell]
Tl  0.511  0.000  0.139 [1 per cell]
Tl  0.562  0.500  0.813 [1 per cell]
Cu  0.622  0.272  0.470 [2 per cell]
H  0.306  0.000  0.381 [1 per cell]
H  0.942  0.500  0.609 [1 per cell]
Se  0.051  0.500  0.156 [1 per cell]
Se  0.068  0.000  0.677 [1 per cell]
O  0.227  0.240  0.670 [2 per cell]
O  0.261  0.500  0.055 [1 per cell]
O  0.450  0.500  0.372 [1 per cell]
O  0.481  0.000  0.380 [1 per cell]
O  0.765  0.500  0.597 [1 per cell]
O  0.830  0.000  0.551 [1 per cell]
O  0.876  0.256  0.095 [2 per cell]
O  0.933  0.000  0.815 [1 per cell]

***

Material: Na4CuP6H22N6O22
Method: DFT, PBE-GGA
State: optimized geometry

Density: 2.0 g/cm³
E: -348.19 eV per cell
Energy of formation: -1.441 eV per atom
V: 11.034 Å³/atom

Unit cell a=9.218 b=9.400 c=9.764 alpha=67.48 beta=71.74 gamma=60.70
Space group P-1 (No. 2)
Asymmetric unit:
Na  0.055  0.393  0.387 [2 per cell]
Na  0.337  0.704  0.901 [2 per cell]
Cu  0.000  0.000  0.000 [1 per cell]
P  0.075  0.086  0.238 [2 per cell]
P  0.185  0.730  0.286 [2 per cell]
P  0.440  0.847  0.259 [2 per cell]
H  0.032  0.883  0.463 [2 per cell]
H  0.233  0.058  0.709 [2 per cell]
H  0.239  0.680  0.674 [2 per cell]
H  0.276  0.418  0.083 [2 per cell]
H  0.299  0.069  0.833 [2 per cell]
H  0.320  0.080  0.068 [2 per cell]
H  0.350  0.065  0.441 [2 per cell]
H  0.382  0.177  0.504 [2 per cell]
H  0.390  0.725  0.575 [2 per cell]
H  0.399  0.327  0.963 [2 per cell]
H  0.472  0.568  0.317 [2 per cell]
N  0.063  0.904  0.347 [2 per cell]
N  0.283  0.026  0.179 [2 per cell]
N  0.381  0.692  0.292 [2 per cell]
O  0.003  0.788  0.670 [2 per cell]
O  0.007  0.515  0.053 [2 per cell]